What to do:
What is needed: retype the block underneath without altering anything.
Entries:
********
The following is a quantum chemistry calculation of C21H40BBrIN6O8P2 as an isolated structure, from the OMol25 dataset.

highest occupied orbital energy: -11.3455 eV
charge: +1
spin multiplicity: 1
LUMO level: -4.196 eV

Cartesian coordinates (Å):
C -1.47 -1.96 4.84
C -1.70 -0.51 5.26
O -0.76 0.39 4.61
B -1.06 1.03 3.44
O -1.92 2.05 3.32
C -0.26 0.46 2.15
N -0.77 -0.33 1.28
Br -2.57 -0.75 1.36
C 0.16 -0.89 0.22
C -0.36 -0.70 -1.22
C -0.97 -1.87 -1.99
C -2.29 -2.46 -1.53
O -3.28 -1.46 -1.69
C -4.56 -1.84 -1.24
C 0.70 -2.29 0.59
C -0.25 -3.41 1.05
O -0.45 -4.39 0.05
C 0.28 -4.13 2.33
N 1.00 -5.36 2.07
C 1.33 0.15 0.41
P 2.97 -0.40 -0.22
O 2.82 -1.04 -1.55
C 1.17 0.75 1.83
I 1.26 2.93 1.70
P 2.40 0.34 3.12
O 3.73 0.54 2.57
O 1.99 -1.16 3.49
O 2.02 1.23 4.37
H -2.32 -2.36 4.28
H -0.59 -2.04 4.21
H -1.33 -2.60 5.70
H -2.72 -0.18 5.05
H -1.54 -0.37 6.33
H -1.62 2.80 2.78
H 0.49 -0.37 -1.80
H -1.07 0.13 -1.21
H -0.23 -2.66 -2.13
H -1.16 -1.48 -2.99
H -2.27 -2.80 -0.48
H -2.52 -3.33 -2.14
H -5.30 -1.52 -1.97
H -4.80 -1.36 -0.28
H -4.65 -2.92 -1.12
H 1.24 -2.62 -0.30
H 1.42 -2.14 1.39
H -1.24 -3.02 1.31
H -0.31 -4.01 -0.82
H -0.58 -4.32 2.99
H 0.92 -3.42 2.87
H 0.65 -6.13 2.63
H 1.98 -5.28 2.26
H 1.09 0.97 -0.28
H 3.73 0.77 -0.17
H 3.50 -1.23 0.78
H 2.01 -1.40 4.43
H 1.45 0.84 5.04
C 1.35 4.66 -3.07
C 0.85 3.51 -2.33
N 0.47 2.59 -1.76
H 0.51 5.21 -3.50
H 1.91 5.31 -2.41
H 1.99 4.34 -3.89
C 0.57 8.03 -6.10
C 1.42 6.85 -6.05
N 2.11 5.93 -6.00
H 0.86 8.74 -5.33
H 0.67 8.51 -7.07
H -0.48 7.76 -5.95
C -3.79 6.53 -3.75
C -3.15 7.51 -4.62
N -2.64 8.28 -5.31
H -4.69 6.95 -3.32
H -4.05 5.64 -4.32
H -3.11 6.25 -2.94
C 4.48 -5.59 -0.20
C 3.95 -6.54 0.77
N 3.53 -7.30 1.51
H 5.13 -4.87 0.29
H 5.05 -6.12 -0.96
H 3.66 -5.06 -0.69

The following is a quantum chemistry calculation of a 8-piece molecular cluster, C21H40Br8O12 overall, from the OMol25 dataset.

relative energy (zero: lowest compared OMol25 entry of this formula, charge and spin): 2.574 eV
highest occupied orbital energy: -9.4753 eV
charge: 0
spin multiplicity: 1
LUMO level: 0.274 eV
SMILES: C[C@H]1COC(=O)O1.COC(=O)OC.COC(=O)OC.COC(=O)OC.BrCCBr.BrCCBr.BrCCBr.BrCCBr

Cartesian coordinates (Å):
C -4.40 2.74 -5.06
C -3.73 2.92 -3.62
C -4.59 2.87 -2.48
O -4.04 1.76 -1.79
C -2.99 1.32 -2.49
O -2.20 0.39 -2.20
O -2.85 1.84 -3.61
H -5.27 3.38 -5.15
H -4.67 1.69 -5.21
H -3.77 2.94 -5.93
H -3.19 3.87 -3.57
H -5.63 2.80 -2.77
H -4.41 3.74 -1.84
C -2.08 0.41 5.58
O -1.14 -0.64 5.71
C -0.18 -0.72 4.74
O 0.06 0.10 3.84
O 0.45 -1.89 4.89
C 1.20 -2.40 3.80
H -1.50 1.33 5.60
H -2.66 0.33 6.51
H -2.58 0.51 4.62
H 1.81 -1.64 3.31
H 0.63 -3.00 3.10
H 1.87 -3.15 4.21
C 3.24 4.66 -2.14
O 4.41 4.51 -2.82
C 4.96 3.33 -2.86
O 4.41 2.27 -2.60
O 6.26 3.58 -3.18
C 7.15 2.53 -3.19
H 2.47 4.02 -2.55
H 3.10 5.74 -2.08
H 3.47 4.28 -1.14
H 8.19 2.84 -3.31
H 6.79 1.85 -3.97
H 7.12 2.08 -2.20
C -1.90 -5.45 -0.35
O -2.98 -4.72 0.06
C -4.25 -5.06 -0.28
O -4.59 -5.67 -1.31
O -5.03 -4.68 0.69
C -6.41 -5.15 0.76
H -0.95 -4.95 -0.14
H -1.90 -5.58 -1.43
H -1.79 -6.42 0.13
H -6.89 -4.60 -0.05
H -6.74 -4.77 1.72
H -6.61 -6.21 0.65
Br 1.69 1.81 -0.92
C 0.58 0.22 -0.49
C 1.24 -0.87 0.39
Br 0.14 -2.56 0.21
H 0.26 -0.24 -1.43
H -0.41 0.48 -0.12
H 1.12 -0.50 1.41
H 2.23 -0.99 -0.05
Br 3.69 1.81 1.87
C 2.47 3.41 2.28
C 1.14 2.92 2.86
Br 0.13 4.46 3.60
H 2.25 3.86 1.32
H 3.02 4.25 2.70
H 1.50 2.38 3.73
H 0.78 2.17 2.15
Br 8.00 -0.05 -0.76
C 6.51 -0.79 -1.93
C 5.39 -1.43 -1.11
Br 4.00 -2.12 -2.42
H 6.95 -1.51 -2.62
H 6.03 -0.14 -2.66
H 4.85 -0.84 -0.38
H 5.90 -2.21 -0.53
Br -4.12 0.50 1.82
C -3.67 -1.39 1.22
C -2.53 -2.10 2.12
Br -3.16 -2.53 3.97
H -3.32 -1.38 0.19
H -4.57 -2.01 1.30
H -1.57 -1.58 2.14
H -2.18 -2.97 1.56

The following is a quantum chemistry calculation of C21H40Cl3MnN2O4Si as an isolated structure, from the OMol25 dataset.

<S²>: 8.75
highest occupied orbital energy (spin up / spin down): -3.3304 / -3.3307 eV
charge: -1
spin multiplicity: 6
LUMO level (spin up / spin down): 2.178 / 2.174 eV

Cartesian coordinates (Å):
********
Reply:
The following is a quantum chemistry calculation of C21H40BBrIN6O8P2 as an isolated structure, from the OMol25 dataset.

highest occupied orbital energy: -11.3455 eV
charge: +1
spin multiplicity: 1
LUMO level: -4.196 eV

Cartesian coordinates (Å):
C -1.47 -1.96 4.84
C -1.70 -0.51 5.26
O -0.76 0.39 4.61
B -1.06 1.03 3.44
O -1.92 2.05 3.32
C -0.26 0.46 2.15
N -0.77 -0.33 1.28
Br -2.57 -0.75 1.36
C 0.16 -0.89 0.22
C -0.36 -0.70 -1.22
C -0.97 -1.87 -1.99
C -2.29 -2.46 -1.53
O -3.28 -1.46 -1.69
C -4.56 -1.84 -1.24
C 0.70 -2.29 0.59
C -0.25 -3.41 1.05
O -0.45 -4.39 0.05
C 0.28 -4.13 2.33
N 1.00 -5.36 2.07
C 1.33 0.15 0.41
P 2.97 -0.40 -0.22
O 2.82 -1.04 -1.55
C 1.17 0.75 1.83
I 1.26 2.93 1.70
P 2.40 0.34 3.12
O 3.73 0.54 2.57
O 1.99 -1.16 3.49
O 2.02 1.23 4.37
H -2.32 -2.36 4.28
H -0.59 -2.04 4.21
H -1.33 -2.60 5.70
H -2.72 -0.18 5.05
H -1.54 -0.37 6.33
H -1.62 2.80 2.78
H 0.49 -0.37 -1.80
H -1.07 0.13 -1.21
H -0.23 -2.66 -2.13
H -1.16 -1.48 -2.99
H -2.27 -2.80 -0.48
H -2.52 -3.33 -2.14
H -5.30 -1.52 -1.97
H -4.80 -1.36 -0.28
H -4.65 -2.92 -1.12
H 1.24 -2.62 -0.30
H 1.42 -2.14 1.39
H -1.24 -3.02 1.31
H -0.31 -4.01 -0.82
H -0.58 -4.32 2.99
H 0.92 -3.42 2.87
H 0.65 -6.13 2.63
H 1.98 -5.28 2.26
H 1.09 0.97 -0.28
H 3.73 0.77 -0.17
H 3.50 -1.23 0.78
H 2.01 -1.40 4.43
H 1.45 0.84 5.04
C 1.35 4.66 -3.07
C 0.85 3.51 -2.33
N 0.47 2.59 -1.76
H 0.51 5.21 -3.50
H 1.91 5.31 -2.41
H 1.99 4.34 -3.89
C 0.57 8.03 -6.10
C 1.42 6.85 -6.05
N 2.11 5.93 -6.00
H 0.86 8.74 -5.33
H 0.67 8.51 -7.07
H -0.48 7.76 -5.95
C -3.79 6.53 -3.75
C -3.15 7.51 -4.62
N -2.64 8.28 -5.31
H -4.69 6.95 -3.32
H -4.05 5.64 -4.32
H -3.11 6.25 -2.94
C 4.48 -5.59 -0.20
C 3.95 -6.54 0.77
N 3.53 -7.30 1.51
H 5.13 -4.87 0.29
H 5.05 -6.12 -0.96
H 3.66 -5.06 -0.69

The following is a quantum chemistry calculation of a 8-piece molecular cluster, C21H40Br8O12 overall, from the OMol25 dataset.

relative energy (zero: lowest compared OMol25 entry of this formula, charge and spin): 2.574 eV
highest occupied orbital energy: -9.4753 eV
charge: 0
spin multiplicity: 1
LUMO level: 0.274 eV
SMILES: C[C@H]1COC(=O)O1.COC(=O)OC.COC(=O)OC.COC(=O)OC.BrCCBr.BrCCBr.BrCCBr.BrCCBr

Cartesian coordinates (Å):
C -4.40 2.74 -5.06
C -3.73 2.92 -3.62
C -4.59 2.87 -2.48
O -4.04 1.76 -1.79
C -2.99 1.32 -2.49
O -2.20 0.39 -2.20
O -2.85 1.84 -3.61
H -5.27 3.38 -5.15
H -4.67 1.69 -5.21
H -3.77 2.94 -5.93
H -3.19 3.87 -3.57
H -5.63 2.80 -2.77
H -4.41 3.74 -1.84
C -2.08 0.41 5.58
O -1.14 -0.64 5.71
C -0.18 -0.72 4.74
O 0.06 0.10 3.84
O 0.45 -1.89 4.89
C 1.20 -2.40 3.80
H -1.50 1.33 5.60
H -2.66 0.33 6.51
H -2.58 0.51 4.62
H 1.81 -1.64 3.31
H 0.63 -3.00 3.10
H 1.87 -3.15 4.21
C 3.24 4.66 -2.14
O 4.41 4.51 -2.82
C 4.96 3.33 -2.86
O 4.41 2.27 -2.60
O 6.26 3.58 -3.18
C 7.15 2.53 -3.19
H 2.47 4.02 -2.55
H 3.10 5.74 -2.08
H 3.47 4.28 -1.14
H 8.19 2.84 -3.31
H 6.79 1.85 -3.97
H 7.12 2.08 -2.20
C -1.90 -5.45 -0.35
O -2.98 -4.72 0.06
C -4.25 -5.06 -0.28
O -4.59 -5.67 -1.31
O -5.03 -4.68 0.69
C -6.41 -5.15 0.76
H -0.95 -4.95 -0.14
H -1.90 -5.58 -1.43
H -1.79 -6.42 0.13
H -6.89 -4.60 -0.05
H -6.74 -4.77 1.72
H -6.61 -6.21 0.65
Br 1.69 1.81 -0.92
C 0.58 0.22 -0.49
C 1.24 -0.87 0.39
Br 0.14 -2.56 0.21
H 0.26 -0.24 -1.43
H -0.41 0.48 -0.12
H 1.12 -0.50 1.41
H 2.23 -0.99 -0.05
Br 3.69 1.81 1.87
C 2.47 3.41 2.28
C 1.14 2.92 2.86
Br 0.13 4.46 3.60
H 2.25 3.86 1.32
H 3.02 4.25 2.70
H 1.50 2.38 3.73
H 0.78 2.17 2.15
Br 8.00 -0.05 -0.76
C 6.51 -0.79 -1.93
C 5.39 -1.43 -1.11
Br 4.00 -2.12 -2.42
H 6.95 -1.51 -2.62
H 6.03 -0.14 -2.66
H 4.85 -0.84 -0.38
H 5.90 -2.21 -0.53
Br -4.12 0.50 1.82
C -3.67 -1.39 1.22
C -2.53 -2.10 2.12
Br -3.16 -2.53 3.97
H -3.32 -1.38 0.19
H -4.57 -2.01 1.30
H -1.57 -1.58 2.14
H -2.18 -2.97 1.56

The following is a quantum chemistry calculation of C21H40Cl3MnN2O4Si as an isolated structure, from the OMol25 dataset.

<S²>: 8.75
highest occupied orbital energy (spin up / spin down): -3.3304 / -3.3307 eV
charge: -1
spin multiplicity: 6
LUMO level (spin up / spin down): 2.178 / 2.174 eV

Cartesian coordinates (Å):